== Exercise ==
Transcribe the whole of the notes below with every line break kept, please.

== Listing ==
-- begin --
No. 1
Computed, not measured: 4 unconnected molecules or ions with the total composition C29H65BrN5O4P2, with ωB97M-V with the def2-TZVPD basis set.

```
106
C29H65BrN5O4P2, DFT ωB97M-V with the def2-TZVPD basis set
N 0.279 2.472 -0.440
C -0.498 1.626 0.459
P -1.181 0.100 -0.351
C -2.805 0.883 -1.040
N -3.993 0.090 -0.766
P 0.647 -1.195 0.381
O 1.565 -1.413 -0.992
Br -0.392 -3.148 0.389
H 1.260 2.231 -0.439
H -0.063 2.495 -1.393
H -1.341 2.186 0.868
H 0.133 1.339 1.299
H -1.986 -0.775 0.457
H -0.726 -0.163 -1.691
H -2.952 1.901 -0.663
H -2.694 0.965 -2.125
H -4.027 -0.269 0.182
H -4.082 -0.691 -1.401
H 2.182 -0.677 -1.101
C -7.156 -2.583 3.945
C -6.525 -2.110 2.615
C -7.315 -2.605 1.396
C -7.164 -4.099 1.126
C -5.690 -4.476 1.000
C -4.864 -4.060 2.220
N -5.110 -2.596 2.482
O -4.373 -1.829 1.766
C -5.221 -4.940 3.424
C -3.377 -4.232 1.941
C -6.518 -0.584 2.615
H -8.054 -3.181 3.780
H -6.469 -3.167 4.548
H -7.439 -1.723 4.550
H -6.970 -2.052 0.516
H -8.365 -2.343 1.545
H -7.646 -4.683 1.916
H -7.684 -4.350 0.200
H -5.576 -5.554 0.862
H -5.272 -3.993 0.111
H -4.744 -4.570 4.332
H -4.842 -5.945 3.233
H -6.290 -5.027 3.603
H -3.087 -3.704 1.041
H -3.148 -5.291 1.812
H -2.776 -3.849 2.766
H -5.887 -0.201 3.417
H -7.540 -0.242 2.785
H -6.167 -0.173 1.671
C 5.179 -2.805 1.298
C 4.591 -2.156 2.574
C 4.547 -0.625 2.468
C 5.914 0.044 2.563
C 6.633 -0.387 3.840
C 6.760 -1.908 3.964
N 5.393 -2.515 3.792
O 4.704 -2.508 4.874
C 7.771 -2.437 2.939
C 7.273 -2.289 5.348
C 3.170 -2.674 2.744
H 5.457 -2.060 0.551
H 6.051 -3.417 1.504
H 4.440 -3.464 0.845
H 3.911 -0.245 3.273
H 4.051 -0.369 1.527
H 6.519 -0.191 1.683
H 5.787 1.128 2.568
H 7.636 0.045 3.883
H 6.083 -0.008 4.707
H 7.771 -3.528 2.922
H 8.766 -2.105 3.237
H 7.599 -2.074 1.929
H 6.659 -1.866 6.137
H 8.292 -1.916 5.458
H 7.286 -3.373 5.470
H 3.163 -3.752 2.911
H 2.630 -2.452 1.823
H 2.648 -2.194 3.568
C 2.311 6.219 -4.443
C 1.819 4.770 -4.216
C 2.392 3.804 -5.262
C 1.781 3.966 -6.649
C 0.260 3.848 -6.583
C -0.371 4.833 -5.594
N 0.320 4.677 -4.266
O -0.148 3.702 -3.577
C -0.276 6.263 -6.139
C -1.849 4.517 -5.396
C 2.267 4.337 -2.827
H 2.979 6.293 -5.301
H 1.495 6.918 -4.590
H 2.857 6.568 -3.567
H 2.214 2.779 -4.918
H 3.475 3.944 -5.295
H 2.076 4.923 -7.090
H 2.175 3.191 -7.309
H -0.183 4.021 -7.567
H -0.008 2.830 -6.286
H -0.595 6.987 -5.388
H -0.948 6.349 -6.993
H 0.718 6.535 -6.483
H -2.006 3.483 -5.102
H -2.372 4.696 -6.337
H -2.283 5.160 -4.630
H 1.800 4.951 -2.056
H 3.351 4.444 -2.750
H 2.008 3.298 -2.637
```

Computed properties:
E ... -4975.198838 a.u.
Lowest unoccupied orbital energy (alpha / beta) ... 0.26 / 0.24 eV
Spin multiplicity ... 4
Total charge ... 0

Mulliken atomic charge list, values in e, 6 entries: number 1, N, carries -0.40; number 2, C, carries -1.05; number 3, P, carries 1.02; number 4, C, carries -0.88; number 5, N, carries -0.52; number 6, P, carries 0.14

***

No. 2
Computed, not measured: 8 unconnected molecules or ions with the total composition C29H65IO24S7, with ωB97M-V with the def2-TZVPD basis set.

```
126
C29H65IO24S7, DFT ωB97M-V with the def2-TZVPD basis set
C 2.478 -0.960 6.390
C 1.636 0.225 6.111
C 0.324 0.449 6.324
C -0.710 -0.553 6.691
C -1.776 -0.117 7.706
C -3.048 0.435 7.085
I -4.147 -1.069 6.041
C 0.168 1.922 6.242
O -0.505 2.584 6.971
O 1.238 2.463 5.533
C 2.133 1.411 5.374
O 2.904 1.377 4.462
H 3.306 -1.074 5.703
H 2.930 -0.775 7.369
H 1.904 -1.864 6.539
H -0.280 -1.528 6.870
H -1.274 -0.692 5.760
H -2.088 -1.018 8.232
H -1.377 0.580 8.436
H -3.675 0.848 7.863
H -2.843 1.207 6.353
O 2.264 -0.965 0.347
S 2.158 0.455 0.203
O 1.469 1.005 -0.929
O 3.604 1.090 0.277
C 4.626 0.548 -0.597
C 4.499 1.050 -2.021
C 1.544 1.152 1.693
H 4.608 -0.541 -0.558
H 5.575 0.871 -0.176
H 3.599 0.665 -2.500
H 5.361 0.727 -2.603
H 4.439 2.138 -2.039
H 2.122 0.750 2.515
H 0.497 0.865 1.778
H 1.636 2.233 1.644
O -4.314 0.064 -3.413
S -3.611 0.931 -4.308
O -2.864 0.374 -5.398
O -2.670 1.886 -3.472
C -1.744 1.284 -2.529
C -0.522 0.721 -3.218
C -4.690 2.169 -4.931
-- stop --

== Done ==
No. 1
Computed, not measured: 4 unconnected molecules or ions with the total composition C29H65BrN5O4P2, with ωB97M-V with the def2-TZVPD basis set.

```
106
C29H65BrN5O4P2, DFT ωB97M-V with the def2-TZVPD basis set
N 0.279 2.472 -0.440
C -0.498 1.626 0.459
P -1.181 0.100 -0.351
C -2.805 0.883 -1.040
N -3.993 0.090 -0.766
P 0.647 -1.195 0.381
O 1.565 -1.413 -0.992
Br -0.392 -3.148 0.389
H 1.260 2.231 -0.439
H -0.063 2.495 -1.393
H -1.341 2.186 0.868
H 0.133 1.339 1.299
H -1.986 -0.775 0.457
H -0.726 -0.163 -1.691
H -2.952 1.901 -0.663
H -2.694 0.965 -2.125
H -4.027 -0.269 0.182
H -4.082 -0.691 -1.401
H 2.182 -0.677 -1.101
C -7.156 -2.583 3.945
C -6.525 -2.110 2.615
C -7.315 -2.605 1.396
C -7.164 -4.099 1.126
C -5.690 -4.476 1.000
C -4.864 -4.060 2.220
N -5.110 -2.596 2.482
O -4.373 -1.829 1.766
C -5.221 -4.940 3.424
C -3.377 -4.232 1.941
C -6.518 -0.584 2.615
H -8.054 -3.181 3.780
H -6.469 -3.167 4.548
H -7.439 -1.723 4.550
H -6.970 -2.052 0.516
H -8.365 -2.343 1.545
H -7.646 -4.683 1.916
H -7.684 -4.350 0.200
H -5.576 -5.554 0.862
H -5.272 -3.993 0.111
H -4.744 -4.570 4.332
H -4.842 -5.945 3.233
H -6.290 -5.027 3.603
H -3.087 -3.704 1.041
H -3.148 -5.291 1.812
H -2.776 -3.849 2.766
H -5.887 -0.201 3.417
H -7.540 -0.242 2.785
H -6.167 -0.173 1.671
C 5.179 -2.805 1.298
C 4.591 -2.156 2.574
C 4.547 -0.625 2.468
C 5.914 0.044 2.563
C 6.633 -0.387 3.840
C 6.760 -1.908 3.964
N 5.393 -2.515 3.792
O 4.704 -2.508 4.874
C 7.771 -2.437 2.939
C 7.273 -2.289 5.348
C 3.170 -2.674 2.744
H 5.457 -2.060 0.551
H 6.051 -3.417 1.504
H 4.440 -3.464 0.845
H 3.911 -0.245 3.273
H 4.051 -0.369 1.527
H 6.519 -0.191 1.683
H 5.787 1.128 2.568
H 7.636 0.045 3.883
H 6.083 -0.008 4.707
H 7.771 -3.528 2.922
H 8.766 -2.105 3.237
H 7.599 -2.074 1.929
H 6.659 -1.866 6.137
H 8.292 -1.916 5.458
H 7.286 -3.373 5.470
H 3.163 -3.752 2.911
H 2.630 -2.452 1.823
H 2.648 -2.194 3.568
C 2.311 6.219 -4.443
C 1.819 4.770 -4.216
C 2.392 3.804 -5.262
C 1.781 3.966 -6.649
C 0.260 3.848 -6.583
C -0.371 4.833 -5.594
N 0.320 4.677 -4.266
O -0.148 3.702 -3.577
C -0.276 6.263 -6.139
C -1.849 4.517 -5.396
C 2.267 4.337 -2.827
H 2.979 6.293 -5.301
H 1.495 6.918 -4.590
H 2.857 6.568 -3.567
H 2.214 2.779 -4.918
H 3.475 3.944 -5.295
H 2.076 4.923 -7.090
H 2.175 3.191 -7.309
H -0.183 4.021 -7.567
H -0.008 2.830 -6.286
H -0.595 6.987 -5.388
H -0.948 6.349 -6.993
H 0.718 6.535 -6.483
H -2.006 3.483 -5.102
H -2.372 4.696 -6.337
H -2.283 5.160 -4.630
H 1.800 4.951 -2.056
H 3.351 4.444 -2.750
H 2.008 3.298 -2.637
```

Computed properties:
E ... -4975.198838 a.u.
Lowest unoccupied orbital energy (alpha / beta) ... 0.26 / 0.24 eV
Spin multiplicity ... 4
Total charge ... 0

Mulliken atomic charge list, values in e, 6 entries: number 1, N, carries -0.40; number 2, C, carries -1.05; number 3, P, carries 1.02; number 4, C, carries -0.88; number 5, N, carries -0.52; number 6, P, carries 0.14

***

No. 2
Computed, not measured: 8 unconnected molecules or ions with the total composition C29H65IO24S7, with ωB97M-V with the def2-TZVPD basis set.

```
126
C29H65IO24S7, DFT ωB97M-V with the def2-TZVPD basis set
C 2.478 -0.960 6.390
C 1.636 0.225 6.111
C 0.324 0.449 6.324
C -0.710 -0.553 6.691
C -1.776 -0.117 7.706
C -3.048 0.435 7.085
I -4.147 -1.069 6.041
C 0.168 1.922 6.242
O -0.505 2.584 6.971
O 1.238 2.463 5.533
C 2.133 1.411 5.374
O 2.904 1.377 4.462
H 3.306 -1.074 5.703
H 2.930 -0.775 7.369
H 1.904 -1.864 6.539
H -0.280 -1.528 6.870
H -1.274 -0.692 5.760
H -2.088 -1.018 8.232
H -1.377 0.580 8.436
H -3.675 0.848 7.863
H -2.843 1.207 6.353
O 2.264 -0.965 0.347
S 2.158 0.455 0.203
O 1.469 1.005 -0.929
O 3.604 1.090 0.277
C 4.626 0.548 -0.597
C 4.499 1.050 -2.021
C 1.544 1.152 1.693
H 4.608 -0.541 -0.558
H 5.575 0.871 -0.176
H 3.599 0.665 -2.500
H 5.361 0.727 -2.603
H 4.439 2.138 -2.039
H 2.122 0.750 2.515
H 0.497 0.865 1.778
H 1.636 2.233 1.644
O -4.314 0.064 -3.413
S -3.611 0.931 -4.308
O -2.864 0.374 -5.398
O -2.670 1.886 -3.472
C -1.744 1.284 -2.529
C -0.522 0.721 -3.218
C -4.690 2.169 -4.931